**What to do:**
What is needed: write out the data further down from the line with "-28454.063," to the end with every line break kept.
**Listing:**
- - -
Entry 1:
{
  "formula": "C5H8",
  "method": "ωB97M-V/def2-TZVPD",
  "elements": ["C", "C", "C", "C", "C", "H", "H", "H", "H", "H", "H", "H", "H"],
  "xyz": [[0.3067, -1.3863, 1.0317], [-0.5286, -1.4706, -0.0038], [-0.7852, -0.7018, -1.0434], [-0.1755, 0.7350, -0.9498], [0.2428, 1.0507, 0.4819], [1.3412, -1.2282, 0.7364], [0.1192, -1.1949, 2.0951], [-1.2741, -0.9839, -1.9746], [0.6967, 0.7463, -1.6275], [-0.8691, 1.4991, -1.3034], [1.3181, 1.0576, 0.6450], [-0.2187, 1.8792, 1.0023], [-0.1765, 0.2085, 0.9708]],
  "forces_ev_per_angstrom": [[-0.15, -1.04, -0.30], [0.73, 0.34, 0.05], [0.03, -0.12, 0.09], [-0.08, 0.27, -0.01], [0.06, 1.07, -0.50], [0.20, -0.81, 0.26], [-0.38, -0.77, -0.45], [0.08, -0.05, 0.29], [-0.35, -0.01, 0.15], [-0.11, -0.21, -0.18], [-0.03, 0.11, 0.00], [-0.02, 0.73, -0.52], [0.02, 0.49, 1.13]],
  "lumo_energy_ev": 0.945,
  "total_energy_ev": -5310.775,
  "spin_multiplicity": 1,
  "smiles": "C=C=CCC",
  "orbital_gap_ev": 10.01
}

---

Entry 2:
{
  "formula": "C5H7NS2",
  "method": "ωB97M-V/def2-TZVPD",
  "elements": ["C", "C", "C", "C", "C", "H", "H", "H", "H", "H", "H", "H", "N", "S", "S"],
  "xyz": [[-1.1447, -0.8920, -0.6721], [0.1306, -0.3039, 0.1155], [0.6980, 0.7412, -0.8685], [-0.4161, 0.8254, 1.0970], [0.9508, -1.6274, 0.4485], [-1.0616, -0.5997, -1.8173], [0.3733, 0.9122, -1.9919], [1.7204, 0.9071, -0.5113], [0.0750, 2.6385, -0.1013], [0.1033, 0.9716, 1.9768], [-1.5060, 0.8923, 1.3814], [0.1720, -2.0563, 1.1627], [-0.1360, 1.6339, -0.1341], [-2.3232, -2.0671, -0.0476], [2.3642, -1.9758, -0.0377]],
  "forces_ev_per_angstrom": [[-1.07, -2.36, 0.27], [-1.92, -3.08, -2.61], [-0.28, 1.05, 0.72], [-1.17, -0.12, -3.49], [-5.31, 3.03, 2.42], [-0.75, -0.78, 2.39], [1.50, -1.37, 1.93], [0.52, -0.16, -1.35], [-0.03, -0.70, 0.24], [1.84, 0.53, 1.65], [0.98, -0.77, -0.54], [1.71, -0.87, -0.64], [-1.70, 3.07, 1.58], [3.26, 3.51, -1.72], [2.42, -0.99, -0.85]],
  "lumo_energy_ev": -1.042,
  "total_energy_ev": -28454.063,
  "spin_multiplicity": 1,
  "orbital_gap_ev": 7.61
}

---

Entry 3:
{
  "formula": "C7H9NO",
  "method": "ωB97M-V/def2-TZVPD",
  "elements": ["C", "C", "C", "C", "O", "C", "C", "C", "N", "H", "H", "H", "H", "H", "H", "H", "H", "H"],
  "xyz": [[-1.2077, -2.2294, -0.0159], [-0.2343, -1.1374, -0.1659], [1.1282, -1.2870, 0.0629], [2.1367, -0.2813, -0.0214], [3.3193, -0.3903, -0.0703], [1.5254, 1.0863, -0.0268], [0.2011, 1.1609, -0.0929], [-0.7540, 2.3773, 0.0662], [-0.6273, 0.1156, -0.1572], [-0.7547, -3.2665, -0.4539], [-2.2855, -1.7212, -0.5228], [-1.3805, -2.4455, 1.2194], [1.4368, -2.3077, 0.2405], [2.1102, 2.0645, -0.1304], [-0.1960, 3.3156, 0.0540], [-1.3162, 2.1583, 0.9868], [-1.5368, 2.3827, -0.7437], [-1.5648, 0.4050, -0.2287]],
  "forces_ev_per_angstrom": [[-2.36, -1.25, 0.95], [3.63, -1.02, 1.96], [-1.39, -2.38, -0.65], [-2.42, 3.06, -0.04], [2.90, -1.24, 0.04], [0.94, 0.95, -0.66], [-1.66, 2.83, 0.36], [0.59, -0.44, -0.84], [-1.02, 0.12, -0.66], [-1.67, 2.68, 0.76], [2.92, -2.39, 1.43], [0.21, 0.69, -3.57], [0.34, -0.11, -0.21], [-0.61, -1.80, 0.51], [-0.40, -0.05, 0.31], [0.38, 0.70, 0.00], [0.94, 0.12, 0.48], [-1.32, -0.47, -0.17]],
  "lumo_energy_ev": 0.453,
  "total_energy_ev": -10940.505,
  "spin_multiplicity": 1,
  "smiles": "Cc1cc(=O)cc(C)[nH]1",
  "orbital_gap_ev": 8.85
}

---

Entry 4:
{
  "formula": "C32H56NO11",
  "method": "ωB97M-V/def2-TZVPD",
  "elements": ["C", "O", "C", "C", "C", "C", "C", "C", "C", "C", "C", "C", "O", "C", "C", "C", "O", "C", "C", "C", "C", "C", "C", "N", "C", "C", "C", "C", "O", "O", "H", "H", "H", "H", "H", "H", "H", "H", "H", "H", "H", "H", "H", "H", "H", "H", "H", "H", "H", "H", "H", "H", "H", "H", "H", "H", "H", "H", "H", "H", "H", "H", "H", "H", "H", "H", "H", "H", "H", "H", "C", "C", "O", "C", "O", "O", "C", "H", "H", "H", "H", "H", "H", "H", "H", "C", "C", "O", "C", "O", "O", "C", "H", "H", "H", "H", "H", "H", "H", "H"],
- - -
**Here it is:**
  "total_energy_ev": -28454.063,
  "spin_multiplicity": 1,
  "orbital_gap_ev": 7.61
}

---

Entry 3:
{
  "formula": "C7H9NO",
  "method": "ωB97M-V/def2-TZVPD",
  "elements": ["C", "C", "C", "C", "O", "C", "C", "C", "N", "H", "H", "H", "H", "H", "H", "H", "H", "H"],
  "xyz": [[-1.2077, -2.2294, -0.0159], [-0.2343, -1.1374, -0.1659], [1.1282, -1.2870, 0.0629], [2.1367, -0.2813, -0.0214], [3.3193, -0.3903, -0.0703], [1.5254, 1.0863, -0.0268], [0.2011, 1.1609, -0.0929], [-0.7540, 2.3773, 0.0662], [-0.6273, 0.1156, -0.1572], [-0.7547, -3.2665, -0.4539], [-2.2855, -1.7212, -0.5228], [-1.3805, -2.4455, 1.2194], [1.4368, -2.3077, 0.2405], [2.1102, 2.0645, -0.1304], [-0.1960, 3.3156, 0.0540], [-1.3162, 2.1583, 0.9868], [-1.5368, 2.3827, -0.7437], [-1.5648, 0.4050, -0.2287]],
  "forces_ev_per_angstrom": [[-2.36, -1.25, 0.95], [3.63, -1.02, 1.96], [-1.39, -2.38, -0.65], [-2.42, 3.06, -0.04], [2.90, -1.24, 0.04], [0.94, 0.95, -0.66], [-1.66, 2.83, 0.36], [0.59, -0.44, -0.84], [-1.02, 0.12, -0.66], [-1.67, 2.68, 0.76], [2.92, -2.39, 1.43], [0.21, 0.69, -3.57], [0.34, -0.11, -0.21], [-0.61, -1.80, 0.51], [-0.40, -0.05, 0.31], [0.38, 0.70, 0.00], [0.94, 0.12, 0.48], [-1.32, -0.47, -0.17]],
  "lumo_energy_ev": 0.453,
  "total_energy_ev": -10940.505,
  "spin_multiplicity": 1,
  "smiles": "Cc1cc(=O)cc(C)[nH]1",
  "orbital_gap_ev": 8.85
}

---

Entry 4:
{
  "formula": "C32H56NO11",
  "method": "ωB97M-V/def2-TZVPD",
  "elements": ["C", "O", "C", "C", "C", "C", "C", "C", "C", "C", "C", "C", "O", "C", "C", "C", "O", "C", "C", "C", "C", "C", "C", "N", "C", "C", "C", "C", "O", "O", "H", "H", "H", "H", "H", "H", "H", "H", "H", "H", "H", "H", "H", "H", "H", "H", "H", "H", "H", "H", "H", "H", "H", "H", "H", "H", "H", "H", "H", "H", "H", "H", "H", "H", "H", "H", "H", "H", "H", "H", "C", "C", "O", "C", "O", "O", "C", "H", "H", "H", "H", "H", "H", "H", "H", "C", "C", "O", "C", "O", "O", "C", "H", "H", "H", "H", "H", "H", "H", "H"],